Lite Challenge entry (May/June 17) - Scribble Rock
Here the article breaks off for calculated crystals >
No. 1
## CdPd4Au3 (PBE)

Data for a relaxed CdPd4Au3 crystal. Values from VASP.

Structure (Quantum ESPRESSO input):
```
&SYSTEM
  ibrav = 0, nat = 16, ntyp = 3
/
ATOMIC_SPECIES
Au 196.97 Au.upf
Pd 106.42 Pd.upf
Cd 112.41 Cd.upf
CELL_PARAMETERS angstrom
4.7473 0.0000 0.0000
0.0000 6.1077 0.0000
0.0000 0.0000 9.3263
ATOMIC_POSITIONS crystal
Au 0.5916 0.5000 0.7500
Au 0.5996 0.0000 0.7500
Au 0.4084 0.5000 0.2500
Au 0.4004 0.0000 0.2500
Au 0.0000 0.0000 0.5000
Au 0.0000 0.0000 0.0000
Pd 0.5000 0.7506 0.5000
Pd 0.9001 0.7512 0.2500
Pd 0.5000 0.2494 0.5000
Pd 0.5000 0.2494 0.0000
Pd 0.9001 0.2488 0.2500
Pd 0.0999 0.7512 0.7500
Pd 0.5000 0.7506 0.0000
Pd 0.0999 0.2488 0.7500
Cd 0.0000 0.5000 0.5000
Cd 0.0000 0.5000 0.0000
```

crystal system = orthorhombic
magnetic moment = 0.000 μB/atom
distance to the lowest polymorph of the same formula = 0.000 eV/f.u.
energy = -66.08 eV for the cell shown
energy of formation from the pure elements = -4.382 kcal/mol of atoms
SG = No. 51

=====

No. 2
## Cd3Pd12Au (PBE)

Data for a relaxed Cd3Pd12Au crystal. Values from VASP.

Structure (Quantum ESPRESSO input):
```
&SYSTEM
  ibrav = 0, nat = 16, ntyp = 3
/
ATOMIC_SPECIES
Pd 106.42 Pd.upf
Cd 112.41 Cd.upf
Au 196.97 Au.upf
CELL_PARAMETERS angstrom
4.0218 0.0000 0.0000
0.0000 4.0218 0.0000
0.0000 0.0000 16.0922
ATOMIC_POSITIONS crystal
Pd 0.5000 0.0000 0.6256
Pd 0.5000 0.0000 0.1237
Pd 0.5000 0.5000 0.2487
Pd 0.0000 0.5000 0.1237
Pd 0.5000 0.0000 0.3744
Pd 0.5000 0.5000 0.5000
Pd 0.5000 0.5000 0.7513
Pd 0.0000 0.5000 0.6256
Pd 0.0000 0.5000 0.8763
Pd 0.5000 0.5000 0.0000
Pd 0.5000 0.0000 0.8763
Pd 0.0000 0.5000 0.3744
Cd 0.0000 0.0000 0.5000
Cd 0.0000 0.0000 0.2492
Cd 0.0000 0.0000 0.7508
Au 0.0000 0.0000 0.0000
```

crystal system = tetragonal
magnetic moment = 0.000 μB/atom
energy = -71.35 eV for the cell shown
energy of formation from the pure elements = -4.347 kcal/mol of atoms
SG = No. 123

=====

[1]
! PBE Tb5SiSb2, optimized geometry; values from VASP
&SYSTEM
  ibrav = 0, nat = 16, ntyp = 3
/
ATOMIC_SPECIES
Tb 158.93 Tb.upf
Sb 121.76 Sb.upf
Si 28.09 Si.upf
CELL_PARAMETERS angstrom
5.9837 0.0000 0.0000
-2.9918 6.3682 0.0000
0.0000 0.0000 13.8938
ATOMIC_POSITIONS crystal
Tb 0.9421 0.8842 0.8808
Sb 0.1760 0.3520 0.9296
Tb 0.3104 0.6207 0.7500
Sb 0.8240 0.6480 0.0704
Tb 0.9421 0.8842 0.6192
Tb 0.6399 0.2797 0.9179
Si 0.7760 0.5520 0.7500
Tb 0.6896 0.3793 0.2500
Tb 0.0579 0.1158 0.3808
Si 0.2240 0.4480 0.2500
Tb 0.3601 0.7203 0.0821
Tb 0.3601 0.7203 0.4179
Sb 0.8240 0.6480 0.4296
Tb 0.6399 0.2797 0.5821
Tb 0.0579 0.1158 0.1192
Sb 0.1760 0.3520 0.5704
! Calculated total energy, eV per cell: -81.1

***

[2]
! PBE Tb5Si2Sb2, optimized geometry; values from VASP
&SYSTEM
  ibrav = 0, nat = 18, ntyp = 3
/
ATOMIC_SPECIES
Tb 158.93 Tb.upf
Si 28.09 Si.upf
Sb 121.76 Sb.upf
CELL_PARAMETERS angstrom
8.5573 0.0050 0.0000
-4.9426 6.9855 0.0000
0.0000 0.0000 7.8963
ATOMIC_POSITIONS crystal
Tb 0.5426 0.7960 0.1688
Si 0.1267 0.1267 0.6261
Sb 0.7937 0.2063 0.0000
ProFantasy 🖼️ 40 images Cartographer
The subject for this month's Lite Challenge over at the Guild is to map a holiday location.
Since Tony was running alone in the challenge I decided to join him to keep him company.
My ideal holiday location would be a smallish island, possibly in Scotland, where it is quiet enough to spend a whole month writing a book without any kind of interruption from the outside world
Since Tony was running alone in the challenge I decided to join him to keep him company.
My ideal holiday location would be a smallish island, possibly in Scotland, where it is quiet enough to spend a whole month writing a book without any kind of interruption from the outside world
Its real enough in my head for me to be able to fly around it as if I'm in a helicopter, but unfortunately it doesn't exist anywhere else.
Sorry - Most of the rest is home-made fills and symbols and would only appear to you as red crosses anyway!
(I added a few lines of surf to this version, so that you can see how I intend to add the waves to my challenge map)
If you are wondering about the seaweed, rocks and shingle - they are on three separate sheets between the sand and the water sheets, but since they are all home made fills and would probably make a complete nonsense of alternative fills, I've left them out of this file to keep it simple
I had to alter the HSL settings on the sand sheets to make the Bogie sand fill work in a similar way to my own sand fill, as it was.
The only thing you need to make sure of with the ocean polys is that they stick out a long way around the edge to prevent the very long Edge Fade Inner from entering the map at the edges.
I guess it would be nice to have some company - as long as you don't mind the helipad at the other end of the island for getting on and off, food supplies and emergency rescues...
(Its only used once a week)
Quenten - this is a fantasy Scottish island - one where the weather is always warm and sunny, if a little breezy (and therefore never too hot for comfort), and the rain only happens at night time to keep the grass impossibly green and all the fruit and flowering trees happy. Unless of course I'm writing a dramatic scene - then we have thunderstorms to order - huge bangy crashy ones that linger till the scene is written :P
I only wish it was. I can nearly get my lounger out and set up the patio table on that flowery patch to the east of the lighthouse in my imagination, but I can't quite smell the flowers and feel the soft sea breeze...
If I win the lottery I'll see about setting it up
Thanks Dogtag
I think, apart from the frame, I've finished this one now. When I've uploaded the framed version to the end of the challenge thread over at the Guild I'll put a link to that comment here
btw - I know the parasols are the wrong way around in this version. Its one of the touch up jobs to be done while I figure out the frame.
The full size image is here
I always spell that wrong! LOL!
Thanks for spotting it. I'll update the Guild one straight away, since that's the one I'm being judged on, but I'll wait till all the other goofs are picked up before I do the final one here.